The Routledge Companion to Philosophy and Music
The Routledge Companion to Philosophy and Music is an outstanding guide and reference source to the key topics, subjects, thinkers and debates in philosophy and music. Over fifty entries by an international team of contributors are organised into six clear sections:
- general issues
- emotion
- history
- figures
- kinds of music
- music, philosophy and related disciplines
Publication Date
New York
philosophy, music, reference, emotion, history, aesthetics
Arts and Humanities | Philosophy
Table of Contents
Definition / Andrew Kania -- Silence, sound, noise, and music / Jennifer Judkins -- Rhythm, melody, and harmony / Roger Scruton -- Ontology / Carl Matheson and Ben Caplan -- Medium / David Davies -- Improvisation / Lee B. Brown -- Notations / Stephen Davies -- Performances and recordings / Andrew Kania and Theodore Gracyk -- Authentic performance practice / Paul Thom -- Music and language / Ray Jackendoff -- Music and imagination / Saam Trivedi -- Understanding music / Erkki Huovinen -- Style / Jennifer Judkins -- Aesthetic properties / Rafael De Clercq -- Value / Alan H. Goldman -- Evaluating music / Theodore Gracyk -- Appropriation and hybridity / James O. Young -- Instrumental technology / Anthony Gritten -- Expression theories / Jenefer Robinson -- Arousal theories / Derek Matravers -- Resemblance theories / Saam Trivedi -- Music's arousal of emotions / Malcolm Budd -- Classical aesthetic traditions of India, China, and the Middle East / Peter Manuel and Stephen Blum -- Antiquity and the middle ages / Thomas J. Mathiesen -- The early modern period / Jeanette Bicknell -- Continental philosophy and music / Tiger C. Roholt -- Analytic philosophy and music / Stephen Davies -- Plato / Stephen Halliwell -- Rousseau / Julia Simon -- Kant / Hannah Ginsborg -- Schopenhauer / Alex Neill -- Nietzsche / John M. Carvalho -- Hanslick / Thomas Grey -- Gurney / Malcolm Budd -- Wagner / Thomas Grey -- Adorno / Andy Hamilton -- Popular music / John Andrew Fisher -- Rock / Allan F. Moore -- Jazz / Lee B. Brown -- Song / Jeanette Bicknell -- Opera / Paul Thom -- Music and motion pictures / Noël Carroll and Margaret Moore -- Music and dance / Robynn J. Stilwell -- Visual music and synesthesia / Kathleen Marie Higgins -- Musicology / Justin London -- Music theory and philosophy / Judy Lochhead -- Composition / Roger Scruton -- Analysis / Joseph Dubiel -- Ethnomusicology / Peter Manuel -- Music and politics / James Currie -- Sociology and cultural studies / Anthony Kwame Harrison -- Music and gender / Fred Everett Maus -- Phenomenology of music / Bruce Ellis Benson -- Music, philosophy, and cognitive science / Diana Raffman -- Psychology of music / Eric Clarke -- Music education / Philip Alperson
Original Publication Information
Misplaced records of crystals =
-- begin --
1.
For LaAl2CdAu5, a crystal structure in Alexandria, relaxed with PBE gives the simulated X-ray diffraction stick pattern in this record (Cu Kα X-rays).
Neutral-atom scattering factors, no anomalous dispersion.

Largest 6 diffraction maxima, low angle first, 10 to 80 degrees two-theta:
d_spacing	I_rel	index
2.611	1000	1 1 2
2.483	487	2 0 0
1.756	173	2 2 0
1.535	195	2 0 4
1.457	341	3 1 2
1.306	115	2 2 4

Crystal structure
Cell: 4.9660 4.9660 7.8132 Å, 90.00 90.00 90.00°
Space group P4/mmm (No. 123)
Inequivalent atoms, fractional coordinates:
La  0.0000  0.0000  0.0000 x1
Al  0.5000  0.5000  0.3356 x2
Cd  0.0000  0.0000  0.5000 x1
Au  0.0000  0.5000  0.2519 x4
Au  0.5000  0.5000  0.0000 x1

=====

2.
For Sm4Ag2Se7, a crystal structure in Alexandria, relaxed with PBE gives the simulated X-ray diffraction stick pattern in this record (Cu Kα X-rays).
Neutral-atom scattering factors, no anomalous dispersion.

Largest 6 diffraction maxima, low angle first, 10 to 80 degrees two-theta:
d_spacing	I_rel	index
3.668	784	1 1 -2
2.839	419	1 3 -2
2.825	627	1 4 -1
2.797	1000	2 2 -2
2.734	869	2 1 1
2.397	799	0 5 1

Crystal structure
Cell: 7.4312 12.6730 7.8108 Å, 90.00 110.10 90.00°
Space group Pc (No. 7)
Inequivalent atoms, fractional coordinates:
Sm  0.0000  0.0504  0.0000 x2
Sm  0.0497  0.3674  0.2090 x2
Sm  0.3362  0.2266  0.6704 x2
Sm  0.5540  0.1388  0.2117 x2
Ag  0.4285  0.4709  0.8359 x2
Ag  0.8286  0.2974  0.7027 x2
Se  0.0840  0.4214  0.5888 x2
Se  0.1882  0.2466  0.9753 x2
Se  0.3131  0.0215  0.8223 x2
Se  0.4833  0.3283  0.4128 x2
Se  0.6598  0.3114  0.9723 x2
Se  0.7183  0.0689  0.6291 x2
Se  0.9790  0.1647  0.3456 x2

=====

3.
For KGe3, a crystal structure in Alexandria, relaxed with PBE gives the simulated X-ray diffraction stick pattern in this record (Cu Kα X-rays).
Neutral-atom scattering factors, no anomalous dispersion.

Largest 6 diffraction maxima, low angle first, 10 to 80 degrees two-theta:
d_spacing	I_rel	index
6.779	877	0 0 1
3.466	221	0 1 1
3.411	237	1 0 1
2.604	1000	1 1 1
2.168	536	1 1 2
1.763	232	1 1 3

Crystal structure
Cell: 3.9465 4.0324 6.7788 Å, 90.00 90.00 90.00°
Space group Pmm2 (No. 25)
Inequivalent atoms, fractional coordinates:
K  0.0000  0.0000  0.0000 x1
Ge  0.0000  0.5000  0.4368 x1
Ge  0.5000  0.0000  0.4429 x1
Ge  0.5000  0.5000  0.7062 x1

=====

4.
For Rb5PSe4Br2, a crystal structure in Alexandria, relaxed with PBE gives the simulated X-ray diffraction stick pattern in this record (Cu Kα X-rays).
Neutral-atom scattering factors, no anomalous dispersion.

Largest 6 diffraction maxima, low angle first, 10 to 80 degrees two-theta:
d_spacing	I_rel	index
4.090	480	2 1 1
3.497	747	0 3 1
3.233	627	2 0 2
2.891	411	0 4 0
2.821	1000	2 2 2
2.571	283	4 0 0

Crystal structure
Cell: 10.2831 11.5620 8.3137 Å, 90.00 90.00 90.00°
Space group Amm2 (No. 38)
Inequivalent atoms, fractional coordinates:
Rb  0.0000  0.0000  0.0000 x2
Rb  0.2651  0.1977  0.4978 x8
P  0.5000  0.0000  0.9648 x2
Se  0.3229  0.0000  0.1219 x4
-- stop --
Recommended Citation
Gracyk, T., & Kania, A. (Eds.) (2011). The Routledge companion to philosophy and music. Routledge.